# Assignment
Next, find "0.3215 Ge" and "0.8333 0.7599" in the rows below, and echo these two lines and those between.
# Input
Model i:
Material: KNa3Al4Ge4O16
Method: DFT, PBE
State: optimized geometry

Geometry as POSCAR:
```
KNa3Al4Ge4O16
1.0
10.2834 0.0000 0.0000
0.0000 8.7763 0.0000
-5.0935 0.0000 8.9985
K Na Al Ge O
2 6 8 8 32
Direct
0.0177 0.0000 0.0086 K
0.9823 0.5000 0.9914 K
0.0033 0.0110 0.4513 Na
0.4160 0.9750 0.0162 Na
0.4246 0.5153 0.4495 Na
0.5754 0.0153 0.5505 Na
0.5840 0.4750 0.9838 Na
0.9967 0.5110 0.5487 Na
0.0834 0.8206 0.7635 Al
0.2364 0.8195 0.3293 Al
0.3313 0.3540 0.0970 Al
0.3423 0.2668 0.6682 Al
0.6577 0.7668 0.3318 Al
0.6687 0.8540 0.9030 Al
0.7636 0.3195 0.6707 Al
0.9166 0.3206 0.2365 Al
0.0939 0.1919 0.7648 Ge
0.2481 0.1796 0.3327 Ge
0.3203 0.6513 0.0876 Ge
0.3375 0.7589 0.6785 Ge
0.6625 0.2589 0.3215 Ge
0.6797 0.1513 0.9124 Ge
0.7519 0.6796 0.6673 Ge
0.9061 0.6919 0.2352 Ge
0.0152 0.0091 0.7431 O
0.0449 0.8325 0.2837 O
0.0593 0.1846 0.2884 O
0.1544 0.7960 0.6394 O
0.1716 0.1966 0.6470 O
0.2141 0.7987 0.9522 O
0.2312 0.2207 0.9544 O
0.2634 0.6778 0.2268 O
0.2817 0.3267 0.2359 O
0.2827 0.9987 0.2824 O
0.3021 0.4674 0.6169 O
0.3564 0.7816 0.5211 O
0.3709 0.1969 0.5245 O
0.3891 0.5655 0.7509 O
0.4741 0.8570 0.8356 O
0.4969 0.2376 0.8429 O
0.5031 0.7376 0.1571 O
0.5259 0.3570 0.1644 O
0.6109 0.0655 0.2491 O
0.6291 0.6969 0.4755 O
0.6436 0.2816 0.4789 O
0.6979 0.9674 0.3831 O
0.7173 0.4987 0.7176 O
0.7183 0.8267 0.7641 O
0.7366 0.1778 0.7732 O
0.7688 0.7207 0.0456 O
0.7859 0.2987 0.0478 O
0.8284 0.6966 0.3530 O
0.8456 0.2960 0.3606 O
0.9407 0.6846 0.7116 O
0.9551 0.3325 0.7163 O
0.9848 0.5091 0.2569 O
```

Computed properties:
* calculated volume: 812.12 Å³/cell
* density: 3.118 g/cm³

Model ii:
Material: KNa3Al4Ge4O16
Method: DFT, PBE
State: optimized geometry

Geometry as POSCAR:
```
KNa3Al4Ge4O16
1.0
10.2093 0.0000 0.0000
0.0000 8.6924 0.0000
-5.0324 0.0000 9.0599
K Na Al Ge O
2 6 8 8 32
Direct
0.0119 0.0000 0.0075 K
0.9881 0.5000 0.9925 K
0.0077 0.5031 0.4379 Na
0.4361 0.0026 0.4533 Na
0.4380 0.5029 0.0004 Na
0.5620 0.0029 0.9996 Na
0.5639 0.5026 0.5467 Na
0.9923 0.0031 0.5621 Na
0.0916 0.8153 0.3424 Al
0.2441 0.8124 0.9021 Al
0.3199 0.3208 0.2366 Al
0.3474 0.3110 0.6642 Al
0.6526 0.8110 0.3358 Al
0.6801 0.8208 0.7634 Al
0.7559 0.3124 0.0979 Al
0.9084 0.3153 0.6576 Al
0.0908 0.1893 0.3410 Ge
0.2424 0.1939 0.9004 Ge
0.3205 0.6854 0.2387 Ge
0.3477 0.6964 0.6654 Ge
0.6523 0.1964 0.3346 Ge
0.6795 0.1854 0.7613 Ge
0.7576 0.6939 0.0996 Ge
0.9092 0.6893 0.6590 Ge
0.0190 0.0025 0.3345 O
0.0510 0.1843 0.7699 O
0.0515 0.8200 0.7711 O
0.1667 0.2599 0.5225 O
0.1668 0.7441 0.5242 O
0.2241 0.1770 0.2791 O
0.2249 0.8294 0.2803 O
0.2620 0.3131 0.0461 O
0.2661 0.5033 0.2701 O
0.2656 0.6938 0.0490 O
0.3044 0.0039 0.9601 O
0.3568 0.2782 0.8367 O
0.3588 0.7266 0.8387 O
0.3900 0.5040 0.6498 O
0.4841 0.8072 0.6498 O
0.4848 0.2032 0.6460 O
0.5152 0.7032 0.3540 O
0.5159 0.3072 0.3502 O
0.6100 0.0040 0.3502 O
0.6412 0.2266 0.1613 O
0.6432 0.7782 0.1633 O
0.6956 0.5039 0.0399 O
0.7339 0.0033 0.7299 O
0.7344 0.1938 0.9510 O
0.7380 0.8131 0.9539 O
0.7751 0.3294 0.7197 O
0.7759 0.6770 0.7209 O
0.8332 0.2441 0.4758 O
0.8333 0.7599 0.4775 O
0.9485 0.3200 0.2289 O
0.9490 0.6843 0.2301 O
0.9810 0.5025 0.6655 O
# Here it is
0.6625 0.2589 0.3215 Ge
0.6797 0.1513 0.9124 Ge
0.7519 0.6796 0.6673 Ge
0.9061 0.6919 0.2352 Ge
0.0152 0.0091 0.7431 O
0.0449 0.8325 0.2837 O
0.0593 0.1846 0.2884 O
0.1544 0.7960 0.6394 O
0.1716 0.1966 0.6470 O
0.2141 0.7987 0.9522 O
0.2312 0.2207 0.9544 O
0.2634 0.6778 0.2268 O
0.2817 0.3267 0.2359 O
0.2827 0.9987 0.2824 O
0.3021 0.4674 0.6169 O
0.3564 0.7816 0.5211 O
0.3709 0.1969 0.5245 O
0.3891 0.5655 0.7509 O
0.4741 0.8570 0.8356 O
0.4969 0.2376 0.8429 O
0.5031 0.7376 0.1571 O
0.5259 0.3570 0.1644 O
0.6109 0.0655 0.2491 O
0.6291 0.6969 0.4755 O
0.6436 0.2816 0.4789 O
0.6979 0.9674 0.3831 O
0.7173 0.4987 0.7176 O
0.7183 0.8267 0.7641 O
0.7366 0.1778 0.7732 O
0.7688 0.7207 0.0456 O
0.7859 0.2987 0.0478 O
0.8284 0.6966 0.3530 O
0.8456 0.2960 0.3606 O
0.9407 0.6846 0.7116 O
0.9551 0.3325 0.7163 O
0.9848 0.5091 0.2569 O
```

Computed properties:
* calculated volume: 812.12 Å³/cell
* density: 3.118 g/cm³

Model ii:
Material: KNa3Al4Ge4O16
Method: DFT, PBE
State: optimized geometry

Geometry as POSCAR:
```
KNa3Al4Ge4O16
1.0
10.2093 0.0000 0.0000
0.0000 8.6924 0.0000
-5.0324 0.0000 9.0599
K Na Al Ge O
2 6 8 8 32
Direct
0.0119 0.0000 0.0075 K
0.9881 0.5000 0.9925 K
0.0077 0.5031 0.4379 Na
0.4361 0.0026 0.4533 Na
0.4380 0.5029 0.0004 Na
0.5620 0.0029 0.9996 Na
0.5639 0.5026 0.5467 Na
0.9923 0.0031 0.5621 Na
0.0916 0.8153 0.3424 Al
0.2441 0.8124 0.9021 Al
0.3199 0.3208 0.2366 Al
0.3474 0.3110 0.6642 Al
0.6526 0.8110 0.3358 Al
0.6801 0.8208 0.7634 Al
0.7559 0.3124 0.0979 Al
0.9084 0.3153 0.6576 Al
0.0908 0.1893 0.3410 Ge
0.2424 0.1939 0.9004 Ge
0.3205 0.6854 0.2387 Ge
0.3477 0.6964 0.6654 Ge
0.6523 0.1964 0.3346 Ge
0.6795 0.1854 0.7613 Ge
0.7576 0.6939 0.0996 Ge
0.9092 0.6893 0.6590 Ge
0.0190 0.0025 0.3345 O
0.0510 0.1843 0.7699 O
0.0515 0.8200 0.7711 O
0.1667 0.2599 0.5225 O
0.1668 0.7441 0.5242 O
0.2241 0.1770 0.2791 O
0.2249 0.8294 0.2803 O
0.2620 0.3131 0.0461 O
0.2661 0.5033 0.2701 O
0.2656 0.6938 0.0490 O
0.3044 0.0039 0.9601 O
0.3568 0.2782 0.8367 O
0.3588 0.7266 0.8387 O
0.3900 0.5040 0.6498 O
0.4841 0.8072 0.6498 O
0.4848 0.2032 0.6460 O
0.5152 0.7032 0.3540 O
0.5159 0.3072 0.3502 O
0.6100 0.0040 0.3502 O
0.6412 0.2266 0.1613 O
0.6432 0.7782 0.1633 O
0.6956 0.5039 0.0399 O
0.7339 0.0033 0.7299 O
0.7344 0.1938 0.9510 O
0.7380 0.8131 0.9539 O
0.7751 0.3294 0.7197 O
0.7759 0.6770 0.7209 O
0.8332 0.2441 0.4758 O
0.8333 0.7599 0.4775 O